This Kettle Logic can be used to run a Speidel Braumeister with CraftbeerPi4. It is based on this cbpi3 Plugin (
- The Kettle logic is intended to be used in a single Kettle. It is a PID logic. PID parameters can be for instance derived from the PID AutoTune plugin (
- It runs on PID control until it reaches a specified temperature. Above that temperature it heats w/o PID logic until a specified boil temp is reached.
- Power to run boil can be specified in the plugin
# Someone pasted calculated crystals at this point
A relaxed Nd2WC2 crystal. Source: Materials Project, functional PBE.

Cell lengths 5.838, 5.838, 10.403 Å; angles 90.00, 90.00, 90.00 degrees
Positions (direct):
Nd: 0.197 0.197 0.157
Nd: 0.197 0.197 0.843
Nd: 0.303 0.697 0.343
Nd: 0.303 0.697 0.657
Nd: 0.697 0.303 0.343
Nd: 0.697 0.303 0.657
Nd: 0.803 0.803 0.157
Nd: 0.803 0.803 0.843
W: 0.177 0.177 0.500
W: 0.323 0.677 0.000
W: 0.677 0.323 0.000
W: 0.823 0.823 0.500
C: 0.000 0.000 0.357
C: 0.000 0.000 0.643
C: 0.000 0.500 0.000
C: 0.000 0.500 0.500
C: 0.500 0.000 0.000
C: 0.500 0.000 0.500
C: 0.500 0.500 0.143
C: 0.500 0.500 0.857

Calculated values
ΔE_f	-0.1991	eV/atom
space group	P4_2/mnm
calculated density	9.3	g/cm³

=====

Material: Sb4IrC5ClO5F22
Method: DFT, PBE-GGA
State: relaxed

a = 9.888 Å, b = 12.831 Å, c = 10.780 Å
α = 90.00°, β = 106.57°, γ = 90.00°
Space group P2_1 (No. 4)
Asymmetric unit:
Sb  0.152  0.000  0.256
Sb  0.241  0.839  0.968
Sb  0.259  0.584  0.508
Sb  0.331  0.400  0.231
Ir  0.241  0.206  0.754
C  0.085  0.183  0.832
C  0.114  0.257  0.585
C  0.231  0.062  0.680
C  0.269  0.354  0.818
C  0.385  0.157  0.915
Cl  0.428  0.229  0.659
O  0.003  0.671  0.120
O  0.044  0.285  0.488
O  0.230  0.982  0.634
O  0.286  0.437  0.854
O  0.467  0.129  0.006
F  0.012  0.547  0.870
F  0.034  0.894  0.299
F  0.051  0.802  0.890
F  0.071  0.560  0.395
F  0.132  0.092  0.388
F  0.169  0.888  0.120
F  0.176  0.477  0.130
F  0.185  0.646  0.635
F  0.202  0.980  0.903
F  0.213  0.322  0.306
F  0.252  0.447  0.577
F  0.261  0.708  0.414
F  0.264  0.088  0.184
F  0.279  0.709  0.054
F  0.307  0.801  0.826
F  0.313  0.935  0.367
F  0.321  0.305  0.090
F  0.337  0.512  0.373
F  0.423  0.887  0.066
F  0.450  0.599  0.605
F  0.457  0.492  0.178
F  0.491  0.339  0.349

Summary:
Crystal system: monoclinic
Formation energy in eV per atom: -2.107
Volume in Å³/cell: 1311
E in eV/atom: -5.4389



Material: Na15Y2C9SClO30F
Method: DFT, PBE-GGA
State: relaxed

a = 8.9018 Å, b = 8.9018 Å, c = 10.8298 Å
α = 90.00°, β = 90.00°, γ = 120.00°
Space group P3 (No. 143)
Asymmetric unit:
Na  0.0000  0.0000  0.0000
Na  0.0000  0.0000  0.3995
Na  0.0496  0.3575  0.1970
Na  0.1036  0.6824  0.4575
Na  0.1070  0.6791  0.9328
Na  0.2208  0.2056  0.7000
Na  0.6667  0.3333  0.6989
Y  0.6667  0.3333  0.0213
Y  0.6667  0.3333  0.3760
C  0.3102  0.2616  0.1992
C  0.3506  0.0829  0.4983
C  0.3507  0.0874  0.9004
S  0.3333  0.6667  0.6547
Cl  0.3333  0.6667  0.2499
O  0.0061  0.7718  0.3019
O  0.0125  0.7669  0.0957
O  0.0197  0.2214  0.8548
O  0.0232  0.2246  0.5442
O  0.1571  0.6362  0.6841
O  0.4204  0.0392  0.4088
O  0.4197  0.0484  0.9930
O  0.4409  0.2439  0.5377
O  0.4423  0.2466  0.8571
O  0.4766  0.3044  0.2004
F  0.3333  0.6667  0.9054

Summary:
Crystal system: trigonal
Formation energy in eV per atom: -2.232
Volume in Å³/cell: 743
E in eV/atom: -6.4883



Material: SbCSCl2F9
Method: DFT, PBE-GGA
State: relaxed

a = 8.028 Å, b = 9.808 Å, c = 12.750 Å
α = 90.00°, β = 100.38°, γ = 90.00°
Space group P2_1/c (No. 14)
- Pump Intervals cen be set to have a pump rest on specified intervals for a specified time (e.g. 60 seconds every 600 seconds which is a default for the Braumeister controller)
You can install it directly via
- sudo pip3 install cbpi4-BM-PID-SmartBoilWithPump
Alternatively you can install (or clone) it from the GIT Repo. In case of updates, you will find them here first:
- P: Proportional - Takes current value into account
- I: Integral - Takes past values into account
- D: Derivative - Takes future values into account
- SampleTime - 2 or 5 seconds -> how often the logic calculates the power setting
- Max Pump Temp: Pump is switched off above this temperature and cannot be switched back on
- Max Boil Output: Maximum Power during when Boil Temp is reached
- Max Boil Temp: When Temp is reached, power is set to Max Boil Output
- Max PID Temp: PID is switched off above this temperature
- RestOnActiveTimer: Yes: Pump will rest only on active step timer. No: Pump rest is not dependent on mash steps
- Rest Interval: Time interval in seconds after which Pump is switched off
- Rest Time: Pump is switched off for specified time in seconds
Fixed in Code:
- Max Output: Maximum Power (%) to be used for PID during Ramp up -> 100%
- 26.05.24: (0.1.7) De(activation) of pump pause during active timer as Option. Automode will now also work w/o steps
- 14.06.22: (0.1.6) Disable pump pause during temperature ramp -> pause will take effect only on active timer
- 11.05.22: (0.1.5) Updated README (removed cbpi add)
- 10.05.22: (0.1.4) removed cbpi dependency
- 30.12.21: (0.1.3) Fixed 0 pump/rest time -> Pump will be switched on at start and off if temp is above control limit. But no pump pause is triggered
- 01.12.21: (0.1.2) Added security feature: current kettle power is monitored continuously and overwritten in case it's different from the logic loop value
- 21.11.21: Updated setup and Readme
- 15.11.21: Adapted to cbpi with actor power settings
- 01.11.21: Merged Pull request from madhatguy and fixed some bugs
- 15.03.21: Support for cbpi >=
- 31.10.21: Changed logic to coroutines